Entries =
Model a:
This record from the OMol25 dataset describes C4H8O2 as an isolated structure. The level of theory is ωB97M-V/def2-TZVPD.

Structure (XYZ):
```
14
Properties=species:S:1:pos:R:3:lowdin_charge:R:1
C -0.77501 -0.22556 1.95721 -0.066
O -0.25702 0.64853 0.95825 -0.156
C 0.64045 0.08035 0.14579 -0.198
C -0.51152 -0.49439 -1.55489 0.054
C 1.58371 0.95013 -0.52301 -0.286
O 2.02174 0.87099 -1.65935 -0.005
H -1.27963 0.40092 2.69549 0.091
H -1.50092 -0.91663 1.51000 0.092
H 0.03558 -0.79659 2.41876 0.094
H 0.21044 -0.85300 -0.58444 0.058
H -0.77952 -1.52409 -1.81213 0.070
H -1.37266 0.09080 -1.23842 0.070
H 0.10356 -0.01895 -2.31489 0.050
H 1.99864 1.67509 0.20927 0.131
```

## Properties
Kohn-Sham gap (eV): 8.82
Charge: 0
HOMO level (eV): -8.3810


Model b:
This record from the OMol25 dataset describes one molecule with the formula C4H8O2. The level of theory is ωB97M-V/def2-TZVPD.

Structure (XYZ):
```
14
Properties=species:S:1:pos:R:3:lowdin_charge:R:1
C 1.93213 -0.02402 0.54138 -0.104
O 0.74413 0.71892 0.63204 -0.146
C -0.20817 0.45305 -0.35661 -0.306
C -0.76248 -0.97455 -0.54634 -0.130
O -2.09568 -0.52743 -0.26808 -0.105
C -1.61902 0.76545 0.13506 -0.121
H 1.76604 -1.07356 0.82185 0.085
H 2.37597 0.00555 -0.46447 0.094
H 2.63685 0.42049 1.24851 0.091
H 0.07022 0.92493 -1.31088 0.153
H -0.40512 -1.70586 0.19100 0.119
H -0.68017 -1.39889 -1.55413 0.121
H -1.62587 0.88779 1.22576 0.128
H -2.17020 1.58241 -0.33991 0.121
```

## Properties
Kohn-Sham gap (eV): 10.74
Charge: 0
HOMO level (eV): -9.7078
Structure (SMILES): COC1COC1


Model c:
This record from the OMol25 dataset describes one molecule with the formula C4H8O2. The level of theory is ωB97M-V/def2-TZVPD.

Structure (XYZ):
```
14
Properties=species:S:1:pos:R:3:lowdin_charge:R:1
C -0.39217 -1.26767 -1.48691 -0.004
C 0.07491 -0.85528 -0.07483 -0.288
O 0.97042 -1.56208 0.35637 0.054
C -0.27369 0.36498 0.94638 -0.371
C 0.12625 1.66920 0.27791 -0.055
O 0.51229 0.11803 2.07179 -0.049
H -1.45480 -1.14140 -1.69354 0.074
H 0.17078 -0.78235 -2.29957 0.088
H -0.13665 -2.33365 -1.56911 0.084
H -1.31220 0.49045 1.30898 0.146
H 1.16225 1.59784 -0.06600 0.089
H -0.54589 1.87252 -0.56141 0.081
H 0.05469 2.48247 1.00822 0.085
H 1.04382 -0.65306 1.78170 0.064
```

## Properties
Kohn-Sham gap (eV): 11.01
Charge: 0
HOMO level (eV): -10.1211
Structure (SMILES): CC(=O)[C@H](C)O


Model d:
This record from the OMol25 dataset describes a 3-piece molecular cluster, C4H8O2 overall. The level of theory is ωB97M-V/def2-TZVPD.

Structure (XYZ):
```
14
Properties=species:S:1:pos:R:3:lowdin_charge:R:1
C 1.03843 -0.89727 -1.35466 -0.073
C 0.19027 -1.85709 -0.99954 -0.087
H 2.11286 -1.06491 -1.37875 0.054
H 0.70704 0.10392 -1.61577 0.037
H -0.88423 -1.68894 -0.97474 0.049
H 0.53392 -2.85142 -0.72348 0.047
C -0.43712 -0.21501 1.78100 -0.126
O -1.45537 0.27801 1.35572 -0.030
H 0.55807 0.17304 1.50098 0.075
H -0.46266 -1.07336 2.47792 0.090
C -0.48410 2.26913 -0.01413 -0.171
O 0.70301 2.04928 -0.07785 -0.042
H -0.93029 2.84183 0.81880 0.088
H -1.18981 1.93279 -0.79549 0.089
```

## Properties
Kohn-Sham gap (eV): 10.68
Charge: 0
HOMO level (eV): -9.9451
Structure (SMILES): C=C.C=O.C=O


What should be chosen as the most stable of them? Choose model c.


Model a:
This record from the OMol25 dataset describes one molecule with the formula C4H8O2. The level of theory is ωB97M-V/def2-TZVPD.

Structure (XYZ):
```
14
Properties=species:S:1:pos:R:3:lowdin_charge:R:1
C -1.78598 0.04367 0.36074 -0.040
C -0.28068 -0.00335 0.53672 -0.362
C 0.44688 -1.03354 -0.36679 -0.140
O 1.29106 -0.25152 -1.19209 -0.082
C 1.49812 0.92938 -0.46740 -0.236
O 0.27398 1.24394 0.13227 -0.064
H -2.24624 -0.89248 0.69588 0.085
H -2.21183 0.86600 0.94298 0.082
H -2.03361 0.20183 -0.69395 0.090
H -0.02762 -0.18891 1.59156 0.144
H 1.03680 -1.74133 0.23275 0.123
H -0.23937 -1.59578 -1.00763 0.126
H 2.27783 0.77979 0.30255 0.136
H 1.78735 1.72833 -1.15235 0.138
```

## Properties
Kohn-Sham gap (eV): 11.18
Charge: 0
HOMO level (eV): -10.1017

Request =
Quote everything above without additions.

Written answer =
Model a:
This record from the OMol25 dataset describes C4H8O2 as an isolated structure. The level of theory is ωB97M-V/def2-TZVPD.

Structure (XYZ):
```
14
Properties=species:S:1:pos:R:3:lowdin_charge:R:1
C -0.77501 -0.22556 1.95721 -0.066
O -0.25702 0.64853 0.95825 -0.156
C 0.64045 0.08035 0.14579 -0.198
C -0.51152 -0.49439 -1.55489 0.054
C 1.58371 0.95013 -0.52301 -0.286
O 2.02174 0.87099 -1.65935 -0.005
H -1.27963 0.40092 2.69549 0.091
H -1.50092 -0.91663 1.51000 0.092
H 0.03558 -0.79659 2.41876 0.094
H 0.21044 -0.85300 -0.58444 0.058
H -0.77952 -1.52409 -1.81213 0.070
H -1.37266 0.09080 -1.23842 0.070
H 0.10356 -0.01895 -2.31489 0.050
H 1.99864 1.67509 0.20927 0.131
```

## Properties
Kohn-Sham gap (eV): 8.82
Charge: 0
HOMO level (eV): -8.3810


Model b:
This record from the OMol25 dataset describes one molecule with the formula C4H8O2. The level of theory is ωB97M-V/def2-TZVPD.

Structure (XYZ):
```
14
Properties=species:S:1:pos:R:3:lowdin_charge:R:1
C 1.93213 -0.02402 0.54138 -0.104
O 0.74413 0.71892 0.63204 -0.146
C -0.20817 0.45305 -0.35661 -0.306
C -0.76248 -0.97455 -0.54634 -0.130
O -2.09568 -0.52743 -0.26808 -0.105
C -1.61902 0.76545 0.13506 -0.121
H 1.76604 -1.07356 0.82185 0.085
H 2.37597 0.00555 -0.46447 0.094
H 2.63685 0.42049 1.24851 0.091
H 0.07022 0.92493 -1.31088 0.153
H -0.40512 -1.70586 0.19100 0.119
H -0.68017 -1.39889 -1.55413 0.121
H -1.62587 0.88779 1.22576 0.128
H -2.17020 1.58241 -0.33991 0.121
```

## Properties
Kohn-Sham gap (eV): 10.74
Charge: 0
HOMO level (eV): -9.7078
Structure (SMILES): COC1COC1


Model c:
This record from the OMol25 dataset describes one molecule with the formula C4H8O2. The level of theory is ωB97M-V/def2-TZVPD.

Structure (XYZ):
```
14
Properties=species:S:1:pos:R:3:lowdin_charge:R:1
C -0.39217 -1.26767 -1.48691 -0.004
C 0.07491 -0.85528 -0.07483 -0.288
O 0.97042 -1.56208 0.35637 0.054
C -0.27369 0.36498 0.94638 -0.371
C 0.12625 1.66920 0.27791 -0.055
O 0.51229 0.11803 2.07179 -0.049
H -1.45480 -1.14140 -1.69354 0.074
H 0.17078 -0.78235 -2.29957 0.088
H -0.13665 -2.33365 -1.56911 0.084
H -1.31220 0.49045 1.30898 0.146
H 1.16225 1.59784 -0.06600 0.089
H -0.54589 1.87252 -0.56141 0.081
H 0.05469 2.48247 1.00822 0.085
H 1.04382 -0.65306 1.78170 0.064
```

## Properties
Kohn-Sham gap (eV): 11.01
Charge: 0
HOMO level (eV): -10.1211
Structure (SMILES): CC(=O)[C@H](C)O


Model d:
This record from the OMol25 dataset describes a 3-piece molecular cluster, C4H8O2 overall. The level of theory is ωB97M-V/def2-TZVPD.

Structure (XYZ):
```
14
Properties=species:S:1:pos:R:3:lowdin_charge:R:1
C 1.03843 -0.89727 -1.35466 -0.073
C 0.19027 -1.85709 -0.99954 -0.087
H 2.11286 -1.06491 -1.37875 0.054
H 0.70704 0.10392 -1.61577 0.037
H -0.88423 -1.68894 -0.97474 0.049
H 0.53392 -2.85142 -0.72348 0.047
C -0.43712 -0.21501 1.78100 -0.126
O -1.45537 0.27801 1.35572 -0.030
H 0.55807 0.17304 1.50098 0.075
H -0.46266 -1.07336 2.47792 0.090
C -0.48410 2.26913 -0.01413 -0.171
O 0.70301 2.04928 -0.07785 -0.042
H -0.93029 2.84183 0.81880 0.088
H -1.18981 1.93279 -0.79549 0.089
```

## Properties
Kohn-Sham gap (eV): 10.68
Charge: 0
HOMO level (eV): -9.9451
Structure (SMILES): C=C.C=O.C=O


What should be chosen as the most stable of them? Choose model c.


Model a:
This record from the OMol25 dataset describes one molecule with the formula C4H8O2. The level of theory is ωB97M-V/def2-TZVPD.

Structure (XYZ):
```
14
Properties=species:S:1:pos:R:3:lowdin_charge:R:1
C -1.78598 0.04367 0.36074 -0.040
C -0.28068 -0.00335 0.53672 -0.362
C 0.44688 -1.03354 -0.36679 -0.140
O 1.29106 -0.25152 -1.19209 -0.082
C 1.49812 0.92938 -0.46740 -0.236
O 0.27398 1.24394 0.13227 -0.064
H -2.24624 -0.89248 0.69588 0.085
H -2.21183 0.86600 0.94298 0.082
H -2.03361 0.20183 -0.69395 0.090
H -0.02762 -0.18891 1.59156 0.144
H 1.03680 -1.74133 0.23275 0.123
H -0.23937 -1.59578 -1.00763 0.126
H 2.27783 0.77979 0.30255 0.136
H 1.78735 1.72833 -1.15235 0.138
```

## Properties
Kohn-Sham gap (eV): 11.18
Charge: 0
HOMO level (eV): -10.1017